**Job**
Next, filter the contents underneath: keep the lines with the word "Crystal".

**Listing**
-- begin --
{"formula": "Sm3Si2Ru2", "functional": "PBE-GGA", "state": "relaxed", "final_energy_ev_per_atom": -6.90, "lattice_angstrom": [[5.6808, 0.0000, 0.0000], [0.0000, 7.8020, 0.0000], [0.0000, 0.0000, 13.4044]], "species": ["Sm", "Sm", "Ru", "Ru", "Sm", "Si", "Sm", "Sm", "Sm", "Ru", "Si", "Sm", "Ru", "Si", "Ru", "Ru", "Si", "Si", "Sm", "Si", "Sm", "Sm", "Si", "Ru", "Sm", "Si", "Sm", "Ru"], "fractional_positions": [[0.3632, 0.7489, 0.7500], [0.1473, 0.3966, 0.3998], [0.3534, 0.4697, 0.5900], [0.6466, 0.5303, 0.4100], [0.8527, 0.8966, 0.3998], [0.6048, 0.2500, 0.0000], [0.6368, 0.2489, 0.7500], [0.1473, 0.3966, 0.1002], [0.1473, 0.1034, 0.6002], [0.6466, 0.9697, 0.5900], [0.1476, 0.3988, 0.7500], [0.1473, 0.1034, 0.8998], [0.6466, 0.9697, 0.9100], [0.3952, 0.7500, 0.5000], [0.3534, 0.0303, 0.0900], [0.3534, 0.0303, 0.4100], [0.8524, 0.6012, 0.2500], [0.8524, 0.8988, 0.7500], [0.8527, 0.6034, 0.8998], [0.3952, 0.7500, 0.0000], [0.6368, 0.2511, 0.2500], [0.8527, 0.6034, 0.6002], [0.1476, 0.1012, 0.2500], [0.6466, 0.5303, 0.0900], [0.3632, 0.7511, 0.2500], [0.6048, 0.2500, 0.5000], [0.8527, 0.8966, 0.1002], [0.3534, 0.4697, 0.9100]]}

~~~~~

1.
An optimized crystal structure of CaBi2P2O10. Source: the Materials Project, functional PBE-GGA.

Unit cell a=10.4966 b=9.1583 c=7.6709 alpha=76.61 beta=58.08 gamma=45.31
Element x y z (fractional)
Ca: 0.5042 0.9958 0.9958
Ca: 0.2542 0.7458 0.7458
Bi: 0.8771 0.3809 0.3840
Bi: 0.3580 0.3840 0.3809
Bi: 0.8691 0.3729 0.8920
Bi: 0.8660 0.8920 0.3729
P: 0.0461 0.5571 0.9535
P: 0.6929 0.2039 0.8067
P: 0.4433 0.9535 0.5571
P: 0.2965 0.8067 0.2039
O: 0.5527 0.7281 0.4824
O: 0.6606 0.1929 0.3225
O: 0.3012 0.6891 0.3874
O: 0.7676 0.0132 0.6973
O: 0.2221 0.0533 0.7497
O: 0.4312 0.0726 0.3751
O: 0.0571 0.5894 0.4260
O: 0.8240 0.3225 0.1929
O: 0.9275 0.4260 0.5894
O: 0.1967 0.0279 0.2750
O: 0.2368 0.4824 0.7281
O: 0.5003 0.2750 0.0279
O: 0.9750 0.7497 0.0533
O: 0.1774 0.8188 0.1288
O: 0.1212 0.3751 0.0726
O: 0.8749 0.1288 0.8188
O: 0.8626 0.6277 0.9488
O: 0.6223 0.3874 0.6891
O: 0.5219 0.6973 0.0132
O: 0.5609 0.9488 0.6277

Calculated values
Crystal system = orthorhombic
Total energy = -6.55 eV per atom
Formation energy from the elements = -2.34 eV per atom
M_tot = 0.0 μB/cell

---

2.
An optimized crystal structure of CaBi6P4O20. Source: the Materials Project, functional PBE-GGA.

Unit cell a=6.9886 b=7.7034 c=9.3190 alpha=107.08 beta=93.52 gamma=112.48
Element x y z (fractional)
Ca: 0.0000 0.5000 0.0000
Bi: 0.8092 0.8035 0.3226
Bi: 0.3360 0.6317 0.5134
Bi: 0.4332 0.2904 0.0847
Bi: 0.5668 0.7096 0.9153
Bi: 0.6640 0.3683 0.4866
Bi: 0.1908 0.1965 0.6774
P: 0.3408 0.8894 0.2518
P: 0.6592 0.1106 0.7482
P: 0.9487 0.2337 0.2389
P: 0.0513 0.7663 0.7611
O: 0.4480 0.4723 0.6375
O: 0.1487 0.9991 0.8325
O: 0.3459 0.8121 0.0793
O: 0.2251 0.6855 0.7596
O: 0.5173 0.8753 0.3520
O: 0.8909 0.6714 0.8543
O: 0.4827 0.1247 0.6480
O: 0.0537 0.2976 0.4102
O: 0.6353 0.8912 0.6941
O: 0.8513 0.0009 0.1675
O: 0.7749 0.3145 0.2404
O: 0.9463 0.7024 0.5898
O: 0.5520 0.5277 0.3625
O: 0.8794 0.2522 0.7299
O: 0.3176 0.4089 0.9047
O: 0.6541 0.1879 0.9207
O: 0.6824 0.5911 0.0953
O: 0.1091 0.3286 0.1457
O: 0.3647 0.1088 0.3059
O: 0.1206 0.7478 0.2701

Calculated values
Crystal system = triclinic
Total energy = -6.67 eV per atom
Formation energy from the elements = -2.40 eV per atom
M_tot = 0.0 μB/cell

---

3.
An optimized crystal structure of CaTiBiP3O12. Source: the Materials Project, functional PBE-GGA.

Unit cell a=9.0850 b=9.0850 c=9.0850 alpha=59.88 beta=59.88 gamma=59.88
Element x y z (fractional)
Ca: 0.9977 0.9977 0.9977
Ca: 0.4977 0.4977 0.4977
Ti: 0.1523 0.1523 0.1523
Ti: 0.6523 0.6523 0.6523
Bi: 0.3482 0.3482 0.3482
Bi: 0.8482 0.8482 0.8482
P: 0.0410 0.4396 0.7686
P: 0.4396 0.7686 0.0410
P: 0.7686 0.0410 0.4396
P: 0.2686 0.9396 0.5410
P: 0.5410 0.2686 0.9396
P: 0.9396 0.5410 0.2686
O: 0.0740 0.5203 0.3353
O: 0.3353 0.0740 0.5203
O: 0.0469 0.2574 0.9271
O: 0.5203 0.3353 0.0740
O: 0.0203 0.5740 0.8353
O: 0.2206 0.4238 0.6097
-- stop --

**Written answer**
Crystal system = orthorhombic
Crystal system = triclinic